[Listing]
Entry 1:
TaAgI6 | PBE-GGA | optimized geometry

abc: 7.2744 7.2765 7.7973
angles: 62.14 62.17 60.04
Closest atoms and distances in Å follow each position.
Atoms (fractional coordinates):
1 I 0.2289 0.9262 0.2408  1 Ta 2.77, 1 Ag 3.06
2 I 0.0739 0.3962 0.7589  1 Ta 2.77, 1 Ag 3.05
3 Ag 0.5000 0.5000 0.5000  6 I 3.05-3.06
4 Ta 0.0000 0.0000 0.0000  6 I 2.77
5 I 0.3958 0.7713 0.7594  1 Ta 2.77, 1 Ag 3.06
6 I 0.6042 0.2287 0.2406  1 Ta 2.77, 1 Ag 3.06
7 I 0.7711 0.0738 0.7592  1 Ta 2.77, 1 Ag 3.06
8 I 0.9261 0.6038 0.2411  1 Ta 2.77, 1 Ag 3.05

Values from the calculation:
uncorrected formation energy = -0.332 eV per atom
ΔE to the lowest computed polymorph = 0.000 eV per atom
magnetic moment = 0.0 μB/cell
VASP energy = -3.33 eV/atom


Entry 2:
Ta3AgI | PBE-GGA | optimized geometry

abc: 4.9892 4.9892 4.9892
angles: 90.00 90.00 90.00
Closest atoms and distances in Å follow each position.
Atoms (fractional coordinates):
1 Ag 0.0000 0.0000 0.0000  6 Ta 2.49
2 Ta 0.0000 0.5000 0.0000  2 Ag 2.49
3 I 0.5000 0.5000 0.5000  12 Ta 3.53
4 Ta 0.5000 0.0000 0.0000  2 Ag 2.49
5 Ta 0.0000 0.0000 0.5000  2 Ag 2.49

Values from the calculation:
Fermi-level density of states = 1.24 states/eV per atom
uncorrected formation energy = 2.075 eV per atom
ΔE to the lowest computed polymorph = 0.000 eV per atom
magnetic moment = 0.0 μB/cell
VASP energy = -5.92 eV/atom


Entry 3:
Ta3AgI | PBE-GGA | optimized geometry

abc: 4.9893 4.9893 4.9893
angles: 90.00 90.00 90.00
Closest atoms and distances in Å follow each position.
Atoms (fractional coordinates):
1 Ta 0.0000 0.0000 0.5000  2 I 2.49
2 Ta 0.5000 0.0000 0.0000  2 I 2.49
3 I 0.0000 0.0000 0.0000  6 Ta 2.49
4 Ag 0.5000 0.5000 0.5000  12 Ta 3.53
5 Ta 0.0000 0.5000 0.0000  2 I 2.49

Values from the calculation:
Fermi-level density of states = 1.47 states/eV per atom
uncorrected formation energy = 2.198 eV per atom
ΔE to the lowest computed polymorph = 0.124 eV per atom
magnetic moment = 0.8 μB/cell
VASP energy = -5.79 eV/atom


Entry 4:
TaAgI3 | PBE-GGA | optimized geometry

abc: 5.5365 5.5365 5.5365
angles: 90.00 90.00 90.00
Closest atoms and distances in Å follow each position.
Atoms (fractional coordinates):
1 Ag 0.5000 0.5000 0.5000  12 I 3.91
2 Ta 0.0000 0.0000 0.0000  6 I 2.77
3 I 0.5000 0.0000 0.0000  2 Ta 2.77
4 I 0.0000 0.0000 0.5000  2 Ta 2.77
5 I 0.0000 0.5000 0.0000  2 Ta 2.77

Values from the calculation:
Fermi-level density of states = 1.00 states/eV per atom
uncorrected formation energy = 0.447 eV per atom
ΔE to the lowest computed polymorph = 0.000 eV per atom
magnetic moment = 0.0 μB/cell
VASP energy = -3.42 eV/atom


Entry 5:
TaAgI6 | PBE-GGA | optimized geometry

abc: 7.3161 8.2893 7.6025
angles: 106.05 100.18 123.94
Closest atoms and distances in Å follow each position.
Atoms (fractional coordinates):
1 I 0.1572 0.4201 0.3025  1 Ta 2.79, 1 Ag 2.98
2 I 0.4512 0.7286 0.0000  1 Ta 2.74
3 I 0.8428 0.5799 0.6975  1 Ta 2.79, 1 Ag 2.98
4 Ta 0.0000 0.5000 0.0000  6 I 2.74-2.79
5 Ag 0.0000 0.0000 0.0000  6 I 2.98-3.33
6 I 0.5488 0.2714 0.0000  1 Ta 2.74
7 I 0.8547 0.1176 0.6975  1 Ta 2.79, 1 Ag 2.98
8 I 0.1453 0.8824 0.3025  1 Ta 2.79, 1 Ag 2.98

Values from the calculation:
Fermi-level density of states = 0.09 states/eV per atom
uncorrected formation energy = -0.318 eV per atom
ΔE to the lowest computed polymorph = 0.014 eV per atom
magnetic moment = 0.0 μB/cell
VASP energy = -3.32 eV/atom


Entry 6:
TaAgTeI2 | PBE-GGA | optimized geometry

abc: 5.5851 5.5851 5.3986
angles: 90.00 90.00 90.00
Closest atoms and distances in Å follow each position.
Atoms (fractional coordinates):
1 Ag 0.5000 0.5000 0.5000  8 I 3.88, 4 Te 3.95
2 I 0.5000 0.0000 0.0000  2 Ta 2.79
3 Te 0.0000 0.0000 0.5000  2 Ta 2.70
4 Ta 0.0000 0.0000 0.0000  2 Te 2.70, 4 I 2.79
5 I 0.0000 0.5000 0.0000  2 Ta 2.79

Values from the calculation:
Fermi-level density of states = 0.83 states/eV per atom
uncorrected formation energy = 0.400 eV per atom
ΔE to the lowest computed polymorph = 0.000 eV per atom

[Assignment]
Please type out every line above that contains the word "VASP".

[Result]
VASP energy = -3.33 eV/atom
VASP energy = -5.92 eV/atom
VASP energy = -5.79 eV/atom
VASP energy = -3.42 eV/atom
VASP energy = -3.32 eV/atom